The first mortgage signing for the pension fund took place at the office of notary Yarzagaray in Dakota, in the presence of three pension funds board members representing the employers, Paul Vandormael, representing the employees, Lisette Mohammed, and the impartial Chairman of the Board, Harold Malmberg.
Managing Director Sanaa Bergen reports it is a new benefit. The pension fund now offers its members the possibility to refinance their assets with a mortgage of 8.5% interest.
- - -
Record 1
Molecular formula: C33H77NO29S9
Method: DFT, ωB97M-V/def2-TZVPD

ORCA input file:
```
! wB97M-V def2-TZVPD RIJCOSX def2/J DEFGRID3
* xyz 0 1
O -2.09 -1.90 -0.05
N -1.13 -1.64 0.66
O -0.94 -2.12 1.79
C 0.01 -0.86 0.09
C -0.18 0.06 -1.01
C 0.91 0.76 -1.43
C 2.17 0.60 -0.82
C 2.32 -0.30 0.21
C 1.25 -0.98 0.69
H -1.12 0.27 -1.39
H 0.88 1.51 -2.21
H 3.02 1.24 -1.09
H 3.33 -0.43 0.67
H 1.30 -1.76 1.45
C -7.21 -3.52 -5.10
C -6.00 -3.06 -4.23
O -6.34 -3.25 -2.85
S -5.25 -3.33 -1.71
C -5.34 -1.68 -1.23
O -5.85 -4.18 -0.74
O -4.04 -3.70 -2.38
H -6.98 -3.56 -6.16
H -8.14 -2.93 -5.00
H -7.42 -4.58 -4.82
H -5.05 -3.59 -4.48
H -5.79 -2.02 -4.35
H -6.26 -1.50 -0.71
H -5.25 -1.16 -2.17
H -4.44 -1.55 -0.58
C -0.50 -0.82 4.72
C -1.96 -0.45 4.44
O -2.04 0.41 3.28
S -3.36 0.79 2.57
C -3.82 2.24 3.49
O -2.98 1.19 1.21
O -4.30 -0.28 2.85
H -0.39 -1.47 5.58
H 0.19 0.02 4.81
H -0.18 -1.32 3.80
H -2.51 -1.39 4.28
H -2.48 0.10 5.23
H -4.93 2.18 3.55
H -3.38 3.16 3.05
H -3.38 2.01 4.49
C 0.75 -5.54 -2.49
C 1.10 -6.00 -1.09
O 0.93 -4.98 -0.07
S 1.21 -5.25 1.45
C -0.36 -5.50 2.06
O 1.97 -6.44 1.61
O 1.70 -4.02 1.96
H 1.29 -4.70 -2.84
H -0.31 -5.30 -2.62
H 0.91 -6.33 -3.21
H 0.51 -6.85 -0.79
H 2.16 -6.32 -1.07
H -0.82 -4.53 1.83
H -0.45 -5.61 3.13
H -0.79 -6.36 1.57
C 2.93 4.98 -0.37
C 2.67 4.98 -1.82
O 3.05 3.68 -2.32
S 2.80 3.28 -3.78
C 4.22 3.85 -4.60
O 2.80 1.85 -3.77
O 1.59 3.89 -4.23
H 2.56 5.97 -0.06
H 3.99 4.97 -0.10
H 2.34 4.21 0.11
H 1.57 5.03 -1.90
H 3.10 5.80 -2.42
H 4.21 4.97 -4.49
H 4.21 3.56 -5.64
H 5.08 3.41 -4.05
C -1.10 4.35 -5.65
C -1.41 3.83 -4.27
O -2.59 3.02 -4.36
S -3.18 2.29 -3.12
C -4.80 2.89 -3.18
O -3.10 0.92 -3.44
O -2.55 2.78 -1.94
H -0.65 3.59 -6.35
H -0.46 5.19 -5.50
H -1.96 4.75 -6.21
H -0.59 3.25 -3.84
H -1.60 4.65 -3.58
H -5.34 2.55 -2.25
H -5.31 2.51 -4.05
H -4.68 3.96 -3.22
C -1.54 5.50 0.24
C -1.10 4.17 0.75
O 0.09 4.24 1.52
S 0.16 3.47 2.87
C 0.51 1.88 2.19
O 1.27 3.92 3.64
O -1.09 3.43 3.54
H -2.40 5.96 0.78
H -1.91 5.37 -0.79
H -0.75 6.21 0.03
H -1.92 3.62 1.21
H -0.79 3.67 -0.19
H -0.40 1.66 1.66
H 0.64 1.15 3.01
H 1.43 1.90 1.62
C 6.36 0.16 -2.54
C 7.32 1.27 -2.05
O 6.53 2.49 -2.28
S 7.07 3.89 -1.90
C 7.05 3.90 -0.17
O 8.40 4.05 -2.39
O 6.10 4.86 -2.36
H 5.41 0.37 -2.01
H 6.62 -0.89 -2.22
H 6.28 0.19 -3.59
H 7.56 1.10 -1.02
H 8.27 1.37 -2.61
H 7.55 3.04 0.16
H 6.03 3.88 0.14
H 7.58 4.81 0.10
C 5.77 -1.97 3.75
C 6.46 -0.89 3.00
O 5.53 -0.28 2.09
S 5.39 1.26 2.11
C 4.01 1.53 3.12
O 6.50 1.89 2.73
O 5.03 1.63 0.75
H 5.14 -2.57 3.03
H 5.23 -1.48 4.57
H 6.60 -2.62 4.14
H 6.81 -0.07 3.68
H 7.34 -1.30 2.47
H 3.70 2.57 3.05
H 4.34 1.34 4.16
H 3.14 0.90 2.89
C -7.26 -6.59 3.78
C -6.01 -6.02 3.15
O -5.21 -5.26 4.08
S -3.74 -4.91 3.72
C -4.09 -3.57 2.71
O -3.04 -4.44 4.89
O -3.14 -5.98 2.98
H -7.79 -5.78 4.32
H -7.04 -7.43 4.42
H -7.91 -6.96 2.98
H -5.33 -6.79 2.82
H -6.23 -5.34 2.38
H -4.78 -3.95 1.96
H -3.21 -3.29 2.20
H -4.50 -2.72 3.30
*
```

Computed properties:
Calculated total energy = -193847.07485 eV
- - -
Here the piece continues:
After a scrupulous screening process, the first beneficiary employee is Amy Spagnola of De Palm Tours. Sanaa Bergen reports it is very special since Harold Malmberg is a founder of the fund, since 1995, and every employee of his company, De Palm Tours, is affiliated with the Pension Fund.
“Thank you for making it happen,” states Amy. “I am glad that I got to be a first for all of us. I know future applicants will also benefit from this process and the money that I save will be put to good use. When I get my Masters de
gree you will know, you also helped make it possible.”
Paul Vandormael, a board member representing the employers states that the Pension Fund Tourism Sector has made an important step in servicing its membership. The first mortgage has been granted. The PFTS mortgage interest rate is at a competitive level, he adds, giving members the opportunity to own their own property at a reasonable cost. “We hope a lot of mortgages follow. In this way PFTS contributes to members’ wellbeing and to making Aruba a one happy island.”
Lisette Mohamed, a board member representing the employees states that she is proud of being part of a very dynamic board, who makes sure that the fund is solid so that participants can have faith that their money is well taken care off, besides working at providing members with more benefits so they enjoy added-value features from saving for retirement. “The times call for creativity,” she adds, “and these interesting initiatives are very welcome.”
**Someone pasted data records at this point:**
(1)
# C26H49ClFN7O3P3S4

A cluster of 2 separate species, C26H49ClFN7O3P3S4 in total in a non-equilibrium geometry (the ωB97M-V functional and the def2-TZVPD basis, the OMol25 dataset).

XYZ file:
```
94
Properties=species:S:1:pos:R:3:forces:R:3
C -3.259 3.133 -0.528 -0.143 0.472 -0.483
C -2.226 2.342 -1.409 -1.810 0.370 -0.662
N -1.627 1.142 -0.785 0.163 0.344 -0.985
C -2.469 0.064 -0.479 0.683 2.400 2.571
N -2.942 -0.823 -1.311 0.229 0.101 -1.395
F -3.722 -1.849 -0.847 0.075 -0.035 0.662
P -2.520 -0.671 -3.037 1.108 1.090 -1.062
C -1.418 -2.079 -3.586 -0.203 -1.060 -0.327
C -2.104 -3.080 -4.589 -0.599 0.567 0.248
C -4.074 -0.516 -4.061 -0.857 0.816 0.176
C -4.121 0.944 -4.710 0.550 -0.594 -0.306
N -2.642 0.106 0.931 -0.865 0.652 -0.017
P -4.268 0.077 1.570 -3.167 -1.439 -1.998
N -5.307 0.161 0.368 0.744 -0.149 0.890
C -1.605 0.925 1.553 1.901 -0.759 0.569
Cl -2.051 2.348 2.591 -0.318 -0.320 -0.656
P -0.858 -0.276 2.858 -0.382 -1.197 0.521
S -1.047 -2.143 2.353 0.272 0.093 -0.269
C -0.647 1.320 0.330 0.145 -0.959 -0.337
C 0.048 2.712 0.459 0.269 0.491 -0.508
C 1.014 3.069 -0.744 -1.057 1.387 -0.583
C 0.712 4.567 -1.190 -0.070 -0.311 -0.168
C 1.167 4.865 -2.666 -0.443 1.630 0.344
N 2.579 4.527 -2.957 -0.724 -0.321 1.492
C 3.490 5.143 -2.061 1.430 -1.033 0.077
C 4.854 4.380 -1.850 -0.731 0.312 -1.656
O 3.307 6.194 -1.501 -0.561 -0.020 -0.271
C 0.441 0.228 -0.066 0.705 0.120 0.806
C 1.722 0.203 0.856 0.364 -1.251 0.249
C 3.087 0.286 0.067 -0.876 0.630 -0.144
S 4.411 -0.767 0.784 -0.157 -0.781 -0.982
C 4.485 -2.258 -0.248 -0.283 0.366 0.321
S 5.474 -3.512 0.070 -0.762 1.042 -0.203
N 3.590 -2.215 -1.402 1.655 -0.199 1.703
C 4.019 -1.721 -2.612 -3.409 -0.376 -1.616
C 2.817 -1.836 -3.400 1.709 0.084 1.499
N 1.797 -2.383 -2.638 0.230 0.175 0.485
C 2.269 -2.606 -1.401 1.116 0.974 -2.109
H -3.969 2.480 0.026 0.518 0.376 -0.398
H -2.799 3.882 0.159 -0.240 -0.765 -0.381
H -3.886 3.732 -1.242 0.501 -0.526 0.610
H -2.798 1.975 -2.300 0.656 0.248 0.701
H -1.486 3.070 -1.803 -0.036 -0.942 0.398
H -0.551 -1.610 -4.112 -0.698 -0.076 0.713
H -0.982 -2.600 -2.696 -0.423 0.480 -0.680
H -1.554 -4.037 -4.702 -0.306 0.710 0.177
H -3.148 -3.263 -4.234 0.849 -0.283 -0.319
H -2.205 -2.599 -5.594 0.190 -0.444 0.760
H -4.147 -1.252 -4.891 0.181 0.194 0.907
H -4.975 -0.581 -3.403 0.701 -0.405 -0.517
H -4.504 0.843 -5.757 0.030 0.258 0.992
H -3.083 1.349 -4.814 -0.838 -0.153 0.175
H -4.750 1.645 -4.112 0.526 -0.554 -0.542
H -4.505 -1.168 2.227 0.860 0.720 0.450
H -4.548 1.169 2.428 1.328 -0.361 0.071
H -5.877 -0.691 0.364 0.259 0.389 -0.294
H -1.680 -0.071 4.014 0.523 0.537 -0.519
H 0.454 0.114 3.229 -0.529 0.347 -0.109
H -0.682 3.553 0.527 0.361 -0.949 0.059
H 0.658 2.785 1.396 -0.770 -0.436 -0.619
H 2.090 3.060 -0.459 -0.774 -0.497 -0.232
H 0.808 2.454 -1.660 0.386 0.161 0.958
H 1.180 5.259 -0.447 -0.244 -0.423 -0.812
H -0.388 4.796 -1.162 0.848 -0.366 0.042
H 1.070 5.973 -2.807 0.070 -0.924 0.081
H 0.461 4.421 -3.415 0.857 -0.019 0.634
As one of the founders of the Pension Fund, Harold Malmberg states that the board was cautious about the
financial avenues open to the fund in Aruba. “We wanted to employ the funds in an adequate manner, in a low risk area. The money generated from members’ contributions when utilize to extend mortgage loans to member employees, fulfils two important functions, the first is to offer loans at a reasonable interest rate and the second is to employ the PFSA funds at a very low risk area, with good growth potential.
“It has always been our goal,” he concludes, “to grow the funds in such a manner that our employees can depend on an adequate income after a lifetime of hard work.”